Excerpt.
........
(1)
{
  "formula": "C5H5AgO6",
  "method": "ωB97M-V with the def2-TZVPD basis set",
  "total_charge": 2,
  "lumo_energy_ev": [-8.803, -13.064],
  "spin_multiplicity": 3,
  "homo_ev": [-17.997, -17.992],
  "homo_lumo_gap_ev": [9.193, 4.928],
  "symbols": ["C", "C", "O", "O", "H", "H", "C", "C", "O", "C", "O", "O", "O", "H", "H", "Ag", "H"],
  "coordinates": [[3.533, 2.614, -0.492], [1.878, 2.307, -0.206], [1.722, 1.733, 0.941], [3.893, 2.830, -1.581], [4.108, 2.612, 0.456], [1.562, 3.370, -0.280], [-1.274, -1.462, 0.468], [-1.649, -2.750, -0.208], [-3.002, -2.514, -0.577], [-3.422, -1.341, -0.138], [-2.350, -0.693, 0.498], [-4.511, -0.892, -0.169], [-0.291, -1.226, 1.147], [-1.580, -3.605, 0.478], [-1.031, -2.926, -1.098], [0.855, 0.257, 1.863], [1.559, 1.688, -1.101]]
}

=====

(2)
{
  "formula": "C5H5Br15",
  "method": "ωB97M-V with the def2-TZVPD basis set",
  "total_charge": 0,
  "lumo_energy_ev": -0.340,
  "homo_ev": -10.210,
  "homo_lumo_gap_ev": 9.870,
  "symbols": ["C", "Br", "Br", "Br", "H", "C", "Br", "Br", "Br", "H", "C", "Br", "Br", "Br", "H", "C", "Br", "Br", "Br", "H", "C", "Br", "Br", "Br", "H"],
  "coordinates": [[1.150, -1.853, -3.778], [1.723, -0.242, -4.630], [2.592, -3.091, -3.584], [-0.303, -2.627, -4.752], [0.781, -1.598, -2.798], [-0.222, 5.259, 1.858], [-0.755, 4.584, 3.563], [-1.357, 6.711, 1.319], [-0.207, 3.843, 0.559], [0.779, 5.660, 1.899], [-1.648, -4.571, -0.873], [-3.155, -3.651, -1.626], [-1.298, -6.207, -1.800], [-1.925, -4.907, 0.990], [-0.803, -3.907, -0.980], [1.019, 1.049, 3.415], [1.719, -0.714, 3.252], [2.266, 2.368, 2.833], [0.417, 1.415, 5.197], [0.161, 1.147, 2.765], [-0.199, 0.342, -0.508], [-0.954, 0.934, -2.162], [1.681, 0.034, -0.618], [-1.135, -1.136, 0.272], [-0.326, 1.159, 0.185]]
}

=====

(3)
{
  "formula": "C5H5BrFN",
  "method": "ωB97M-V with the def2-TZVPD basis set",
  "total_charge": 0,
  "lumo_energy_ev": 0.561,
  "homo_ev": -8.925,
  "homo_lumo_gap_ev": 9.487,
  "smiles": "FN1CC=CC=C1Br",
  "symbols": ["C", "C", "C", "C", "C", "N", "F", "Br", "H", "H", "H", "H", "H"],
  "coordinates": [[0.026, -0.096, 1.350], [-0.477, -1.262, 0.665], [0.164, 1.094, 0.770], [-0.252, -1.306, -0.624], [-0.112, 1.248, -0.758], [0.563, 0.081, -1.409], [1.837, -0.095, -0.964], [-0.568, -2.638, -1.808], [0.035, -0.091, 2.452], [-0.839, -2.177, 1.064], [0.415, 1.997, 1.435], [-1.095, 1.026, -0.966], [0.301, 2.218, -1.208]]
}

=====

(4)
{
  "formula": "C5H5BrN4S2",
  "method": "ωB97M-V with the def2-TZVPD basis set",
  "total_charge": 0,
  "lumo_energy_ev": -1.242,
  "homo_ev": -8.490,
  "homo_lumo_gap_ev": 7.248,
  "symbols": ["C", "C", "C", "C", "C", "N", "N", "N", "N", "S", "S", "Br", "H", "H", "H", "H", "H"],
  "coordinates": [[-1.185, 1.680, 0.401], [-2.005, 0.645, 0.056], [0.954, 0.812, 0.013], [-1.634, -0.705, -0.330], [2.456, 0.786, 0.013], [0.140, 1.560, 0.569], [-1.002, -1.524, 0.518], [0.885, -1.741, -0.648], [0.008, -2.265, 0.209], [0.258, -3.730, 0.961], [0.433, -0.376, -1.430], [-3.891, 0.964, -0.100], [-1.509, 2.591, 0.631], [-2.228, -1.058, -1.173], [2.910, 0.840, -0.979], [2.661, -0.112, 0.647], [2.750, 1.634, 0.640]]
}

=====

(5)
{
  "formula": "C5H5Cl",
  "method": "ωB97M-V with the def2-TZVPD basis set",
  "total_charge": 0,
  "lumo_energy_ev": [-1.850, -1.851],
  "homo_ev": [-9.773, -9.773],
  "homo_lumo_gap_ev": [7.924, 7.923],
  "symbols": ["C", "C", "C", "C", "C", "Cl", "H", "H", "H", "H", "H"],
  "coordinates": [[2.977, -1.087, 0.186], [1.932, -0.651, -0.229], [-0.866, 1.196, 0.080], [-0.462, 0.069, -0.787], [-1.300, -0.197, 0.340], [-3.082, -0.448, 0.031], [4.031, -1.251, 0.458], [0.086, 1.470, 0.644], [-1.670, 1.805, -0.199], [-0.527, -0.169, -1.785], [-1.118, -0.736, 1.261]]
}

=====

(6)
{
  "formula": "C5H5Cl",
  "method": "ωB97M-V with the def2-TZVPD basis set",
  "total_charge": 0,
  "lumo_energy_ev": -0.938,
  "homo_ev": -9.262,
  "homo_lumo_gap_ev": 8.324,
  "symbols": ["C", "C", "C", "C", "C", "Cl", "H", "H", "H", "H", "H"],
........

To do.
It remains to find "C5H5BrFN" and "[-9.773, -9.773]," in the material earlier on, and reproduce these two lines and those between.

Result.
  "formula": "C5H5BrFN",
  "method": "ωB97M-V with the def2-TZVPD basis set",
  "total_charge": 0,
  "lumo_energy_ev": 0.561,
  "homo_ev": -8.925,
  "homo_lumo_gap_ev": 9.487,
  "smiles": "FN1CC=CC=C1Br",
  "symbols": ["C", "C", "C", "C", "C", "N", "F", "Br", "H", "H", "H", "H", "H"],
  "coordinates": [[0.026, -0.096, 1.350], [-0.477, -1.262, 0.665], [0.164, 1.094, 0.770], [-0.252, -1.306, -0.624], [-0.112, 1.248, -0.758], [0.563, 0.081, -1.409], [1.837, -0.095, -0.964], [-0.568, -2.638, -1.808], [0.035, -0.091, 2.452], [-0.839, -2.177, 1.064], [0.415, 1.997, 1.435], [-1.095, 1.026, -0.966], [0.301, 2.218, -1.208]]
}

=====

(4)
{
  "formula": "C5H5BrN4S2",
  "method": "ωB97M-V with the def2-TZVPD basis set",
  "total_charge": 0,
  "lumo_energy_ev": -1.242,
  "homo_ev": -8.490,
  "homo_lumo_gap_ev": 7.248,
  "symbols": ["C", "C", "C", "C", "C", "N", "N", "N", "N", "S", "S", "Br", "H", "H", "H", "H", "H"],
  "coordinates": [[-1.185, 1.680, 0.401], [-2.005, 0.645, 0.056], [0.954, 0.812, 0.013], [-1.634, -0.705, -0.330], [2.456, 0.786, 0.013], [0.140, 1.560, 0.569], [-1.002, -1.524, 0.518], [0.885, -1.741, -0.648], [0.008, -2.265, 0.209], [0.258, -3.730, 0.961], [0.433, -0.376, -1.430], [-3.891, 0.964, -0.100], [-1.509, 2.591, 0.631], [-2.228, -1.058, -1.173], [2.910, 0.840, -0.979], [2.661, -0.112, 0.647], [2.750, 1.634, 0.640]]
}

=====

(5)
{
  "formula": "C5H5Cl",
  "method": "ωB97M-V with the def2-TZVPD basis set",
  "total_charge": 0,
  "lumo_energy_ev": [-1.850, -1.851],
  "homo_ev": [-9.773, -9.773],